Not that long ago, I received a very promising message: Corona Barathri would install a totally new label, at the one hand as a (digital only?) distro for occult Underground Music, as well as for the release of some new Corona Barathri recordings. Well, when talking about this point, I am glad that that new label, called Speculum Diaboli Records, came up with two releases in the meantime: a split with Paranoia Inducta (which I will review soon), which is called Atra Mors, and the four-tracker Speculum Diaboli (the smart ones have noticed the connection in between the label’s name and the album’s title, I hope…). The aim, their sacrosanct goal is to bring Darkness to this world.
This new album got released via the known digital sources, as well as on CD (in envelop, yet quite limited) (there was an extremely limited special edition too, but that one is sold out). The album was written and performed by the duo Affectvs and Kein, and mastered by the latter at the IHF Studio. The artwork, by the way, was created by Merknet’s Satyrus Mortem, who you might know as well from his visual art for Moloch, and who contributes as session musician (amongst some others.
• These quantum chemistry results were left in the entry by mistake:
'''
C35H62Br26N4OS | wB97M-V/def2-TZVPD

Element x y z (Å)
N: 5.4772 -0.6511 5.6319
C: 4.8175 0.3866 4.8742
O: 5.3763 1.3989 4.5300
C: 3.3848 0.0862 4.5540
C: 2.5709 -0.1552 5.8506
C: 1.1158 -0.0647 5.5058
C: 0.3711 1.0846 5.5668
N: 0.8687 2.3437 6.0024
C: -1.0095 1.0847 5.1745
C: -1.6521 -0.0096 4.7328
C: -0.9119 -1.2161 4.6704
N: -1.3941 -2.3891 4.2389
S: -0.1263 -3.3884 4.3558
N: 1.0270 -2.4279 4.9087
C: 0.4495 -1.2313 5.0532
H: 5.8695 -0.2453 6.4723
H: 6.2173 -1.0175 5.0451
H: 2.9442 0.9016 3.9960
H: 3.3980 -0.8280 3.9604
H: 2.8476 0.6012 6.5820
H: 2.8332 -1.1542 6.1791
H: 0.2299 2.6502 6.7342
H: 1.7568 2.1640 6.4562
H: -1.5521 2.0169 5.2414
H: -2.6900 0.0410 4.4498
Br: 2.9108 5.8538 0.6113
C: 4.1569 5.1510 1.9284
C: 3.9544 3.6786 2.1416
Br: 2.3992 3.2891 3.2365
H: 4.0271 5.7360 2.8327
H: 5.1456 5.3360 1.5147
H: 4.7915 3.2527 2.6922
H: 3.8255 3.1418 1.2086
Br: -4.7461 -1.3894 1.8791
C: -4.0266 -2.3964 0.3731
C: -2.6725 -2.9679 0.6797
Br: -1.2921 -1.5985 0.6005
H: -4.0130 -1.7244 -0.4800
H: -4.7458 -3.1895 0.1924
H: -2.3905 -3.7038 -0.0705
H: -2.6171 -3.4160 1.6673
Br: -3.7558 -0.1960 -3.0125
C: -3.2112 1.2704 -1.8539
C: -4.1476 1.4203 -0.6878
Br: -5.8224 2.2692 -1.1926
H: -3.1518 2.1604 -2.4714
H: -2.2165 1.0034 -1.5033
H: -3.7130 2.0688 0.0691
H: -4.3968 0.4617 -0.2515
Br: 3.1818 -4.9786 3.8778
C: 2.8973 -3.6988 2.4433
C: 4.0888 -3.5955 1.5300
Br: 5.5419 -2.5711 2.3221
H: 2.6404 -2.7574 2.9174
H: 2.0365 -4.0719 1.8918
H: 3.8221 -3.0562 0.6239
H: 4.5007 -4.5643 1.2689
Br: -7.0318 -4.0702 -1.3605
C: -5.7112 -5.4657 -1.6576
C: -5.9733 -6.6734 -0.8010
Br: -5.4433 -6.3559 1.0445
H: -4.7377 -5.0258 -1.4646
H: -5.7904 -5.7158 -2.7129
H: -5.3715 -7.5151 -1.1355
H: -7.0198 -6.9576 -0.7865
Br: -0.6329 4.0185 8.5241
C: -0.4568 2.6981 9.9435
C: 0.4139 3.2006 11.0623
Br: 2.2959 3.1508 10.5774
H: -0.0680 1.7941 9.4856
H: -1.4694 2.5182 10.2964
H: 0.3207 2.5557 11.9328
H: 0.1871 4.2237 11.3418
Br: -1.8372 -3.9958 6.2205
C: -3.1798 -4.5804 7.5468
C: -3.0181 -6.0291 7.9243
Br: -3.6727 -7.2118 6.5230
H: -4.1513 -4.3670 7.1125
H: -3.0235 -3.9459 8.4178
H: -3.6118 -6.2718 8.8028
H: -1.9829 -6.3002 8.1030
Br: 4.9372 3.3331 -2.0465
C: 6.2089 1.8581 -2.0574
C: 5.7706 0.7179 -1.1776
Br: 6.0499 1.0984 0.7083
H: 7.1676 2.2698 -1.7611
H: 6.2574 1.5334 -3.0943
H: 6.3699 -0.1665 -1.3813
H: 4.7188 0.4803 -1.2976
Br: -3.2876 -0.8482 -8.0122
C: -1.9778 -1.5230 -6.7439
C: -2.1263 -3.0037 -6.5163
Br: -3.6393 -3.3974 -5.3565
H: -2.0958 -0.9462 -5.8318
H: -1.0097 -1.3073 -7.1904
H: -1.2554 -3.3917 -5.9938
H: -2.2748 -3.5599 -7.4339
Br: -10.6791 2.3788 -0.9164
C: -9.9799 4.1589 -0.5713
C: -9.8400 4.9597 -1.8383
Br: -8.2947 4.3965 -2.8721
H: -9.0350 4.0301 -0.0537
H: -10.6999 4.6277 0.0955
H: -9.6667 6.0080 -1.6065
H: -10.7037 4.8707 -2.4883
Br: 2.9605 -1.0606 -7.7010
C: 2.6054 -1.8002 -9.4674
C: 1.1315 -1.9876 -9.6880
Br: 0.4358 -3.5264 -8.7256
H: 3.1749 -2.7203 -9.5406
H: 2.9969 -1.0735 -10.1763
H: 0.9216 -2.1821 -10.7369
H: 0.5538 -1.1305 -9.3569
Br: 2.1674 3.0228 -11.0363
'''
• End of the quantum chemistry results:
Speculum Diaboli has ‘only’ four tracks (once again with Latin titles), but the total running time clocks over one hour. Indeed, these pieces are quite lengthy. The album starts with Expulsio Sancti (Anathema) (13:39, and the shortest composition on the album), which immediately shows the occult attitude of the duo. It starts extremely doomy, with grim synth layers, distant chants, sampling (water drops) and evil invocations. After one minute or so, you’re invited to join the diabolic ritual, and things turn more obscure and malignant. Slowly on, this story moves on, with a lot of vocal types (from whispers over choir-like to grim throats and evil screams) and many levels of synth-waves. At 4 minutes, disturbing violin / viola gets used, at 7 minutes some organ, at 8 minutes and something energetic shamanistic drumming, and even some noisy details appear, to name just some unique elements within this whole aural spectacle. It seems like a frenzy experience, but there’s beauty behind this sonic orchestra too.
Next comes Iter Violentiae (15:52) a ritual invocation that goes on in a comparable vein. Mingling many layers of keyboard melodies with a huge diversity of vocals (including guest vocals by Valefor / Black Funeral / Akhtya / Psychonaut 75’s Michael W. Ford), different kinds of percussion, flutes (I think) and acoustic guitars (performed by long-time collaborator Ayzen Kaoz; think Nahemoth), this sonic summoning of evil spirits brings forth Luciferian rites and diabolical magic. This is a soundtrack for black mysticism and ritualistic malignancy.
Invocatio Diabolorum (16:11) opens with the same kind of, well, almost Flamenco-alike acoustic guitars (yet without the joy and happiness), accompanied by the guttural throat singing and background sounds (waves). This aural manifestation of ritual supremacy permanently grows, adding more vocal timbres, different sorts of percussion (chimes, wind bells, hand drum), painfully raped strings (cello / violin / viola), and so much more. It’s an initiation in Satanic arts, continuously evolving and progressing. After about six minutes, everything is getting quite harsh - a malicious atmosphere assisted in its asphyxiating obscurity by heavily droning injections at the one hand, and meditative hypnosis at the other hand (towards the end, once again, with these gloomy flutes). The gate is opening…
The album ends with the title track (18:07), a majestic revelation of evil powers. It features female vocals (by no one else but Stupor Mentis’ Erszebeth – adding a hint of ethereal, almost sacral, fairness), and a whole scala on vocal and instrumental accompaniment (like before, many layers of synths acoustic guitars, distorted violin, folk drums, and different background noises). This piece is like the conclusion, the epitome of this pernicious tale.
one.
DFT (the ωB97M-V functional and the def2-TZVPD basis) results for 7 unconnected molecules or ions with the total composition C4H24NO8.

Output
HOMO energy in Ha: -0.51031
Kohn-Sham gap in eV: 11.12
Charge: +1

Atoms and positions in Å:
O: 0.205 -2.915 0.709
O: 1.059 -3.001 -2.254
O: 2.715 1.627 1.461
O: -3.433 1.233 -1.284
O: 2.659 -0.818 -1.860
O: -1.842 3.416 -1.184
O: -0.170 1.569 -2.523
O: -0.954 1.735 0.848
N: 0.810 -0.056 0.526
C: 0.567 -1.817 2.832
C: -0.322 -1.968 1.599
C: -1.512 0.515 1.275
C: -0.556 -0.648 0.747
H: -1.546 0.487 2.398
H: 2.472 -1.696 -2.240
H: 1.580 -1.429 2.765
H: 1.407 -0.228 1.338
H: -1.440 2.030 0.050
H: -1.368 4.203 -1.472
H: 2.451 2.529 1.286
H: 1.221 -3.801 -1.737
H: 0.172 -1.128 3.617
H: 0.857 -2.766 3.301
H: -3.651 0.802 -2.120
H: -2.783 3.521 -1.009
H: 0.872 -2.570 0.092
H: -2.498 0.368 0.825
H: -1.257 -2.408 2.005
H: -0.996 1.754 -2.980
H: 0.482 2.219 -2.803
H: 0.717 0.947 0.295
H: 2.373 -0.105 -2.433
H: 1.347 -0.450 -0.253
H: 0.122 -2.796 -2.127
H: -0.865 -0.874 -0.263
H: -2.484 1.079 -1.231
H: 3.590 1.441 1.805



two.
DFT (the ωB97M-V functional and the def2-TZVPD basis) results for 7 unconnected molecules or ions with the total composition C4H24NO8.

Output
HOMO energy in Ha: -0.48809
Kohn-Sham gap in eV: 10.57
Charge: +1

Atoms and positions in Å:
O: -2.649 0.460 -0.802
O: 1.742 -0.234 -4.114
O: -1.377 -0.352 -3.852
O: -4.039 -2.393 2.388
O: -0.104 2.276 -1.660
O: -1.240 -0.138 2.186
O: 2.494 -1.456 -0.803
O: -0.293 2.166 3.317
N: 0.201 -0.192 -0.012
C: 0.947 0.282 1.252
C: 3.086 -0.305 -0.083
C: 0.139 -0.399 2.364
C: 2.368 -0.274 1.245
H: 0.107 -1.480 2.505
H: 2.925 0.504 -0.791
H: 1.312 -0.926 -3.624
H: 2.555 -1.167 1.865
H: -0.179 3.007 2.872
H: -3.441 0.981 -0.635
H: -1.533 0.744 2.435
H: 4.121 -0.596 0.142
H: -0.303 2.217 4.254
H: 0.850 1.357 1.343
H: -3.535 -1.798 2.941
H: 2.404 -0.574 -4.721
H: -2.819 0.216 -1.717
H: 2.938 0.339 1.969
H: -0.619 -0.905 -4.024
H: -3.827 -2.408 1.492
H: -1.648 0.129 -4.635
H: -0.702 -0.592 0.266
H: -0.018 2.465 -2.596
H: -0.011 0.630 -0.592
H: -0.073 3.093 -1.171
H: 0.553 -0.074 3.336
H: 3.085 -1.555 -1.559
H: 0.740 -0.884 -0.537



one is the most stable structure; the next one sits 0.234 eV above it.



one.
DFT (the ωB97M-V functional and the def2-TZVPD basis) results for 2 unconnected molecules or ions with the total composition C2H7NO3S.

Output
HOMO energy in Ha: -0.37863
Kohn-Sham gap in eV: 11.08

Atoms and positions in Å:
S: 1.729 0.196 0.106
O: 1.062 -0.106 -1.181
O: 3.246 -0.207 -0.320
O: 1.239 -1.075 1.115
N: -0.746 0.476 1.426
C: -1.671 -0.325 -0.727
C: -1.353 0.712 0.342
H: -1.545 -1.242 -0.286
H: 0.309 -0.900 1.286
H: -1.454 1.723 0.051
H: 3.121 -0.310 -1.268
H: -2.550 0.020 -1.117
H: -0.841 -0.150 -1.481
H: -0.547 1.187 2.055



two.
DFT (the ωB97M-V functional and the def2-TZVPD basis) results for 2 unconnected molecules or ions with the total composition C2H7NO3S.

Output
HOMO energy (alpha / beta) in Ha: -0.37475 / -0.32796
Sixty-four minutes of these rituals might be a hard nutshell to break, but endurance and persuasion might reveal so many grandiose aspects. Speculum Diaboli is not a collection of four individual tracks, yet a very cohesive adventure with a demonic message. Things appear and reappear throughout the whole voyage, disclosing hidden aspects and covert messages.
Cor Unum, Essentia Una sumus. Cunabula Barathri initium nostrum est. Immersum Barathri finis noster est.